Given =
┌──
1.
137
Properties=species:S:1:pos:R:3 method="wB97M-V/def2-TZVPD" homo_lumo_gap_ev=8.7 total_charge=-1 de_lowest_kj_mol=35.18
C -0.77 0.12 -0.70
F -0.68 -0.29 -1.96
F -1.03 1.43 -0.68
F -1.82 -0.48 -0.13
S 0.75 -0.36 0.28
O 1.87 0.42 -0.25
O 0.39 0.05 1.63
O 0.91 -1.78 0.00
C 1.99 5.44 -1.15
C 1.52 3.99 -1.19
O 1.84 3.36 0.05
O 1.04 6.22 -0.41
H 1.90 5.73 -2.20
H 3.00 5.65 -0.81
H 2.11 3.58 -2.03
H 0.45 3.83 -1.33
H 1.67 2.41 -0.02
H 1.22 6.03 0.55
C -4.61 0.50 -1.47
C -5.39 1.77 -1.76
C -4.62 3.06 -1.45
O -5.35 4.24 -1.74
C -6.67 4.28 -1.26
N -5.64 1.70 -3.21
H -3.68 0.31 -2.02
H -5.28 -0.35 -1.51
H -4.09 0.43 -0.50
H -6.26 1.73 -1.11
H -3.67 3.11 -2.00
H -4.32 3.07 -0.39
H -6.74 4.10 -0.18
H -7.34 3.55 -1.72
H -7.03 5.30 -1.41
H -4.69 1.50 -3.51
H -5.89 2.60 -3.61
C -2.88 -0.41 -5.27
C -2.41 0.96 -4.84
C -1.00 1.21 -5.36
O -0.59 2.43 -4.78
C 0.78 2.70 -4.95
N -3.42 1.93 -5.33
H -3.89 -0.57 -4.90
H -2.16 -1.19 -5.00
H -2.81 -0.61 -6.35
H -2.35 1.02 -3.75
H -0.98 1.23 -6.46
H -0.39 0.35 -5.04
H 1.32 1.86 -4.48
H 1.14 3.61 -4.48
H 1.06 2.66 -6.01
H -3.32 2.12 -6.33
H -3.05 2.86 -5.09
C 1.91 -2.27 -3.53
C 2.84 -3.20 -2.76
C 4.10 -2.49 -2.26
O 4.80 -1.86 -3.30
C 6.03 -1.36 -2.83
N 2.09 -3.67 -1.58
H 1.64 -1.40 -2.92
H 0.99 -2.77 -3.82
H 2.38 -1.90 -4.45
H 3.09 -4.06 -3.39
H 4.65 -3.26 -1.70
H 3.85 -1.77 -1.47
H 6.67 -0.98 -3.63
H 6.65 -2.09 -2.31
H 5.85 -0.51 -2.16
H 1.80 -2.80 -1.10
H 2.67 -4.09 -0.85
C 1.41 -3.26 5.69
C 0.66 -2.09 5.07
C 1.07 -0.75 5.61
O 0.60 -0.50 6.93
C 0.76 0.84 7.34
N 0.85 -2.11 3.61
H 2.48 -3.14 5.53
H 1.07 -4.23 5.32
H 1.21 -3.32 6.77
H -0.40 -2.19 5.35
H 0.59 0.01 4.98
H 2.16 -0.63 5.57
H -0.15 1.42 7.12
H 1.61 1.42 6.98
H 0.78 0.79 8.43
H 1.87 -2.15 3.49
H 0.62 -1.19 3.23
C 0.11 6.01 4.15
C 0.34 4.99 3.04
C -0.86 4.87 2.08
O -2.00 4.31 2.71
C -1.88 2.92 2.88
N 1.53 5.41 2.28
H 0.15 7.03 3.77
H 0.95 6.03 4.86
H -0.74 5.75 4.78
H 0.57 4.04 3.53
H -0.56 4.18 1.28
H -1.05 5.80 1.54
H -1.20 2.52 3.64
H -1.70 2.34 1.97
H -2.89 2.57 3.12
H 2.36 5.44 2.86
H 1.78 4.62 1.69
C -1.75 -3.48 -1.93
C -1.98 -4.13 -0.57
C -2.81 -5.39 -0.68
O -3.97 -5.36 -1.50
C -4.94 -4.47 -0.97
N -0.77 -4.25 0.23
H -1.01 -2.68 -1.87
H -2.63 -3.03 -2.41
H -1.30 -4.24 -2.58
H -2.65 -3.44 -0.04
H -2.90 -5.88 0.29
H -2.17 -6.13 -1.19
H -4.99 -4.45 0.12
H -5.91 -4.71 -1.40
H -4.68 -3.45 -1.26
H -0.19 -3.42 0.10
H -0.22 -4.99 -0.21
C 4.86 -5.22 2.46
C 3.87 -4.05 2.56
C 4.56 -2.72 2.73
O 3.59 -1.67 2.90
C 4.06 -0.42 2.50
N 3.21 -4.08 1.21
H 5.63 -4.96 1.73
H 4.41 -6.12 2.05
H 5.36 -5.43 3.40
H 3.18 -4.18 3.40
H 5.18 -2.47 1.86
H 5.16 -2.67 3.64
H 4.93 -0.09 3.09
H 3.32 0.35 2.76
H 4.21 -0.34 1.42
H 2.52 -4.81 1.40
H 2.56 -3.28 1.23

***

2.
73
Properties=species:S:1:pos:R:3 method="wB97M-V/def2-TZVPD" homo_lumo_gap_ev="4.2 / 7.6" de_lowest_kj_mol=0.00 multiplicity=3
Pd 0.36 -0.51 -2.48
H -2.49 -0.99 -5.80
H 0.45 1.90 0.04
P 0.31 -2.69 -3.00
P 0.33 1.65 -3.36
C 1.73 2.65 -2.72
H 1.69 3.70 -3.06
H 1.74 2.64 -1.62
H 2.66 2.20 -3.07
C 0.38 1.95 -5.17
H -0.45 1.40 -5.64
H 0.29 3.01 -5.42
H 1.32 1.57 -5.58
C -1.10 2.67 -2.86
H -1.11 2.83 -1.77
H -1.11 3.66 -3.34
H -2.03 2.14 -3.13
C 0.40 -3.29 -4.70
H 0.41 -4.39 -4.66
H -0.47 -2.94 -5.26
H 1.31 -2.92 -5.19
C 1.69 -3.44 -2.11
H 1.43 -3.55 -1.06
H 1.89 -4.41 -2.57
H 2.57 -2.79 -2.19
C -1.15 -3.52 -2.34
H -2.04 -3.12 -2.82
H -1.05 -4.59 -2.57
H -1.22 -3.37 -1.26
C 1.09 0.04 -0.63
O 2.20 -0.50 -0.44
H -2.20 -1.30 -5.15
C -1.51 -1.98 1.53
C -0.28 -1.47 2.30
C -0.48 -1.74 3.80
C 0.94 -2.25 1.85
P -0.06 0.43 2.01
N 0.39 0.85 0.19
C -1.75 1.35 2.22
C -2.39 1.03 3.57
C -1.56 2.88 2.15
C -2.69 0.93 1.06
C 1.48 1.17 2.69
C 2.73 0.31 2.37
C 1.75 2.59 2.13
C 1.37 1.26 4.23
H -1.51 -3.09 1.60
H -1.47 -1.75 0.44
H -2.48 -1.65 1.95
H -0.84 -2.77 3.89
H 0.47 -1.69 4.34
H -1.21 -1.08 4.30
H 1.26 -1.99 0.83
H 1.77 -2.14 2.54
H 0.65 -3.31 1.80
H -1.72 1.27 4.42
H -3.29 1.66 3.69
H -2.74 -0.02 3.65
H -1.11 3.20 1.20
H -2.56 3.34 2.19
H -0.99 3.27 3.01
H -2.15 0.89 0.09
H -3.20 -0.02 1.25
H -3.48 1.69 0.96
└──

Wanted =
The reader should reproduce the whole of the notes further above without altering anything.

Done =
1.
137
Properties=species:S:1:pos:R:3 method="wB97M-V/def2-TZVPD" homo_lumo_gap_ev=8.7 total_charge=-1 de_lowest_kj_mol=35.18
C -0.77 0.12 -0.70
F -0.68 -0.29 -1.96
F -1.03 1.43 -0.68
F -1.82 -0.48 -0.13
S 0.75 -0.36 0.28
O 1.87 0.42 -0.25
O 0.39 0.05 1.63
O 0.91 -1.78 0.00
C 1.99 5.44 -1.15
C 1.52 3.99 -1.19
O 1.84 3.36 0.05
O 1.04 6.22 -0.41
H 1.90 5.73 -2.20
H 3.00 5.65 -0.81
H 2.11 3.58 -2.03
H 0.45 3.83 -1.33
H 1.67 2.41 -0.02
H 1.22 6.03 0.55
C -4.61 0.50 -1.47
C -5.39 1.77 -1.76
C -4.62 3.06 -1.45
O -5.35 4.24 -1.74
C -6.67 4.28 -1.26
N -5.64 1.70 -3.21
H -3.68 0.31 -2.02
H -5.28 -0.35 -1.51
H -4.09 0.43 -0.50
H -6.26 1.73 -1.11
H -3.67 3.11 -2.00
H -4.32 3.07 -0.39
H -6.74 4.10 -0.18
H -7.34 3.55 -1.72
H -7.03 5.30 -1.41
H -4.69 1.50 -3.51
H -5.89 2.60 -3.61
C -2.88 -0.41 -5.27
C -2.41 0.96 -4.84
C -1.00 1.21 -5.36
O -0.59 2.43 -4.78
C 0.78 2.70 -4.95
N -3.42 1.93 -5.33
H -3.89 -0.57 -4.90
H -2.16 -1.19 -5.00
H -2.81 -0.61 -6.35
H -2.35 1.02 -3.75
H -0.98 1.23 -6.46
H -0.39 0.35 -5.04
H 1.32 1.86 -4.48
H 1.14 3.61 -4.48
H 1.06 2.66 -6.01
H -3.32 2.12 -6.33
H -3.05 2.86 -5.09
C 1.91 -2.27 -3.53
C 2.84 -3.20 -2.76
C 4.10 -2.49 -2.26
O 4.80 -1.86 -3.30
C 6.03 -1.36 -2.83
N 2.09 -3.67 -1.58
H 1.64 -1.40 -2.92
H 0.99 -2.77 -3.82
H 2.38 -1.90 -4.45
H 3.09 -4.06 -3.39
H 4.65 -3.26 -1.70
H 3.85 -1.77 -1.47
H 6.67 -0.98 -3.63
H 6.65 -2.09 -2.31
H 5.85 -0.51 -2.16
H 1.80 -2.80 -1.10
H 2.67 -4.09 -0.85
C 1.41 -3.26 5.69
C 0.66 -2.09 5.07
C 1.07 -0.75 5.61
O 0.60 -0.50 6.93
C 0.76 0.84 7.34
N 0.85 -2.11 3.61
H 2.48 -3.14 5.53
H 1.07 -4.23 5.32
H 1.21 -3.32 6.77
H -0.40 -2.19 5.35
H 0.59 0.01 4.98
H 2.16 -0.63 5.57
H -0.15 1.42 7.12
H 1.61 1.42 6.98
H 0.78 0.79 8.43
H 1.87 -2.15 3.49
H 0.62 -1.19 3.23
C 0.11 6.01 4.15
C 0.34 4.99 3.04
C -0.86 4.87 2.08
O -2.00 4.31 2.71
C -1.88 2.92 2.88
N 1.53 5.41 2.28
H 0.15 7.03 3.77
H 0.95 6.03 4.86
H -0.74 5.75 4.78
H 0.57 4.04 3.53
H -0.56 4.18 1.28
H -1.05 5.80 1.54
H -1.20 2.52 3.64
H -1.70 2.34 1.97
H -2.89 2.57 3.12
H 2.36 5.44 2.86
H 1.78 4.62 1.69
C -1.75 -3.48 -1.93
C -1.98 -4.13 -0.57
C -2.81 -5.39 -0.68
O -3.97 -5.36 -1.50
C -4.94 -4.47 -0.97
N -0.77 -4.25 0.23
H -1.01 -2.68 -1.87
H -2.63 -3.03 -2.41
H -1.30 -4.24 -2.58
H -2.65 -3.44 -0.04
H -2.90 -5.88 0.29
H -2.17 -6.13 -1.19
H -4.99 -4.45 0.12
H -5.91 -4.71 -1.40
H -4.68 -3.45 -1.26
H -0.19 -3.42 0.10
H -0.22 -4.99 -0.21
C 4.86 -5.22 2.46
C 3.87 -4.05 2.56
C 4.56 -2.72 2.73
O 3.59 -1.67 2.90
C 4.06 -0.42 2.50
N 3.21 -4.08 1.21
H 5.63 -4.96 1.73
H 4.41 -6.12 2.05
H 5.36 -5.43 3.40
H 3.18 -4.18 3.40
H 5.18 -2.47 1.86
H 5.16 -2.67 3.64
H 4.93 -0.09 3.09
H 3.32 0.35 2.76
H 4.21 -0.34 1.42
H 2.52 -4.81 1.40
H 2.56 -3.28 1.23

***

2.
73
Properties=species:S:1:pos:R:3 method="wB97M-V/def2-TZVPD" homo_lumo_gap_ev="4.2 / 7.6" de_lowest_kj_mol=0.00 multiplicity=3
Pd 0.36 -0.51 -2.48
H -2.49 -0.99 -5.80
H 0.45 1.90 0.04
P 0.31 -2.69 -3.00
P 0.33 1.65 -3.36
C 1.73 2.65 -2.72
H 1.69 3.70 -3.06
H 1.74 2.64 -1.62
H 2.66 2.20 -3.07
C 0.38 1.95 -5.17
H -0.45 1.40 -5.64
H 0.29 3.01 -5.42
H 1.32 1.57 -5.58
C -1.10 2.67 -2.86
H -1.11 2.83 -1.77
H -1.11 3.66 -3.34
H -2.03 2.14 -3.13
C 0.40 -3.29 -4.70
H 0.41 -4.39 -4.66
H -0.47 -2.94 -5.26
H 1.31 -2.92 -5.19
C 1.69 -3.44 -2.11
H 1.43 -3.55 -1.06
H 1.89 -4.41 -2.57
H 2.57 -2.79 -2.19
C -1.15 -3.52 -2.34
H -2.04 -3.12 -2.82
H -1.05 -4.59 -2.57
H -1.22 -3.37 -1.26
C 1.09 0.04 -0.63
O 2.20 -0.50 -0.44
H -2.20 -1.30 -5.15
C -1.51 -1.98 1.53
C -0.28 -1.47 2.30
C -0.48 -1.74 3.80
C 0.94 -2.25 1.85
P -0.06 0.43 2.01
N 0.39 0.85 0.19
C -1.75 1.35 2.22
C -2.39 1.03 3.57
C -1.56 2.88 2.15
C -2.69 0.93 1.06
C 1.48 1.17 2.69
C 2.73 0.31 2.37
C 1.75 2.59 2.13
C 1.37 1.26 4.23
H -1.51 -3.09 1.60
H -1.47 -1.75 0.44
H -2.48 -1.65 1.95
H -0.84 -2.77 3.89
H 0.47 -1.69 4.34
H -1.21 -1.08 4.30
H 1.26 -1.99 0.83
H 1.77 -2.14 2.54
H 0.65 -3.31 1.80
H -1.72 1.27 4.42
H -3.29 1.66 3.69
H -2.74 -0.02 3.65
H -1.11 3.20 1.20
H -2.56 3.34 2.19
H -0.99 3.27 3.01
H -2.15 0.89 0.09
H -3.20 -0.02 1.25
H -3.48 1.69 0.96